Children’s Educational Rights and IDEA Legislation
Children with disabilities are entitled to an education, which affords them equitable access to services, extra-curricular, and non-academic activities. Children with disabilities are also entitled to attend school without experiencing disability-based harassment. These rights are protected by federal and state laws, including the Individuals with Disabilities Education Act (“IDEA”) and § 504 of the Rehabilitation Act.
If your child is having problems in school, you may have a lot of questions.
- Why is my child failing?
- Are my child’s bad grades due to a learning disability?
- Does my child have a disability that makes it hard for her/him to pay attention in class?
- Why is my child getting so many disciplinary referrals?
- Are my child’s organization problems due to a disability?
- Does my child need a tutor?
If your child has been diagnosed with a disability and is having problems in school, you may have even more questions.
- Does my child need an IEP?
- What is the difference between an IEP and a 504 Plan or a PEP?
- Does my child need special education and/or related services?
- Has the school done all the tests and evaluations necessary to understand what my child needs in school?
- Should my child have a Behavior Intervention Plan?
- Should a school teach my child daily living skills like how to use money or tie her/his shoes?
- What are transition skills?
- If my child needs a nurse on the bus and the school doesn’t have one, can the school require me to transport my child to and from school?
- Does my child need to be pulled out of the regular classroom to get special services in the resource room?
Our lawyers at Wiggins, Childs, Pantazis, Fisher & Goldfarb represent parents and their children in cases involving students’ access to appropriate educational programs and services necessary to ensure equality of opportunity, meaningful participation in society, independent living, and economic self-sufficiency. It is critical that children with disabilities receive an educational program with appropriate special education and related services, designed to meet their unique needs. We work diligently to protect the rights of children with a variety of disabilities throughout America.
**Next to the page, the page also holds materials data:**
No. 1
# NdMoO5
Computed X-ray powder pattern, a wavelength of 1.5418 Å. Input: a structure optimized by DFT (GGA+U).

```
data_NdMoO5
_cell_length_a 5.5061
_cell_length_b 12.8848
_cell_length_c 7.1517
_cell_angle_alpha 90.00
_cell_angle_beta 115.46
_cell_angle_gamma 90.00
_space_group_name_H-M_alt 'P 1 21/c 1'
_space_group_IT_number 14
_space_group_name_Hall '-P 2ybc'
loop_
_atom_site_label
_atom_site_fract_x
_atom_site_fract_y
_atom_site_fract_z
Nd1 0.1494 0.0578 0.2869
Mo1 0.4112 0.1366 0.8537
O1 0.0023 0.5764 0.9509
O2 0.2069 0.0649 0.9590
O3 0.2751 0.6503 0.4274
O4 0.2925 0.2351 0.2841
O5 0.4922 0.5722 0.8376
```

Largest 8 diffraction maxima, low angle first, 2θ from 5° to 70°:
hkl, Position (°2θ), I (rel.)
0 2 0, 13.7, 100
1 1 0, 19.1, 71
1 2 -1, 22.1, 82
1 0 -2, 25.6, 53
1 3 -1, 27.0, 60
1 3 0, 27.4, 56
1 1 1, 27.8, 57
0 4 1, 31.0, 55


No. 2
# LiMn2O4
Computed X-ray powder pattern, a wavelength of 1.5418 Å. Input: a structure optimized by DFT (GGA+U).

```
data_LiMn2O4
_cell_length_a 5.8660
_cell_length_b 5.8660
_cell_length_c 9.7639
_cell_angle_alpha 90.00
_cell_angle_beta 90.00
_cell_angle_gamma 120.00
_space_group_name_H-M_alt 'P 63 m c'
_space_group_IT_number 186
_space_group_name_Hall 'P 6c -2c'
loop_
_atom_site_label
_atom_site_fract_x
_atom_site_fract_y
_atom_site_fract_z
Li1 0.0000 0.0000 0.0000
Li2 0.3333 0.6667 0.3894
Mn1 0.1689 0.3377 0.7180
Mn2 0.3333 0.6667 0.9958
O1 0.0000 0.0000 0.3144
O2 0.0336 0.5168 0.8323
O3 0.1581 0.3162 0.1095
O4 0.3333 0.6667 0.6121
```

Largest 8 diffraction maxima, low angle first, 2θ from 5° to 70°:
hkl, Position (°2θ), I (rel.)
0 0 2, 18.2, 86
1 0 1, 19.7, 100
1 1 2, 35.7, 60
2 0 1, 36.6, 55
2 0 2, 40.0, 42
2 0 3, 45.3, 63
2 0 5, 59.7, 54
2 2 0, 63.4, 43


No. 3
# MgCo6O9F3
Computed X-ray powder pattern, a wavelength of 1.5418 Å. Input: a structure optimized by DFT (GGA+U).

```
data_MgCo6O9F3
_cell_length_a 5.5679
_cell_length_b 5.7581
_cell_length_c 6.7460
_cell_angle_alpha 71.31
_cell_angle_beta 76.12
_cell_angle_gamma 83.05
_space_group_name_H-M_alt 'P 1'
_space_group_IT_number 1
_space_group_name_Hall 'P 1'
loop_
_atom_site_label
_atom_site_fract_x
_atom_site_fract_y
_atom_site_fract_z
Mg1 0.0000 0.0000 0.0000
Co1 0.0005 0.5028 0.9955
Co2 0.0131 0.4920 0.4950
Co3 0.3408 0.8355 0.6510
Co4 0.4351 0.7493 0.1604
Co5 0.5697 0.2585 0.8299
Co6 0.6578 0.1745 0.3398
O1 0.0895 0.6362 0.1879
O2 0.2696 0.7013 0.4532
O3 0.3399 0.5093 0.8471
O4 0.3477 0.1636 0.4661
O5 0.3783 0.9713 0.8729
O6 0.6217 0.0392 0.1192
O7 0.6577 0.4919 0.1482
O8 0.7424 0.3025 0.5366
O9 0.9203 0.3621 0.8042
F1 0.0159 0.1546 0.2133
F2 0.7066 0.8386 0.5076
F3 0.9602 0.8508 0.7939
```

Largest 8 diffraction maxima, low angle first, 2θ from 5° to 70°:
hkl, Position (°2θ), I (rel.)
1 -1 0, 23.8, 100
1 -1 1, 28.5, 19
1 1 2, 29.1, 89
1 2 0, 36.2, 49
2 1 0, 36.4, 35
0 2 2, 36.6, 24
0 1 -2, 37.3, 30
2 0 -1, 39.1, 24
**Here the page continues:**
We have 30 years of experience representing parents and students in their attempts to secure an appropriate education and to redress disability based harassment and discrimination. Our lawyers at Wiggins, Childs, Pantazis Fisher & Goldfarb represent clients through negotiation and advocacy at the school district level and have had extensive success resolving issues at that level. We also have a significant amount of experience representing parents and students with disabilities through the mediation process, as well as in administrative and judicial proceedings.